Why you might need a mediator
Everyone has arguments now and then. But when things get serious, you might start looking for legal help. You could even feel that your only option is a long court case.
Another way to resolve a dispute is mediation. Compared to a court case, mediation could:
- cost less
- be quicker
- be less stressful.
Mediation is when an independent person (a mediator) helps both sides come to an agreement. The mediator does not take sides or decide what should happen. The mediator's job is to help the two sides talk to each other, so that they can come to an agreement.
Mediation alone is sometimes enough to resolve a dispute. Or mediation can cut down the time you have to spend in court. You could use a mediator if:
- your relationship has broken down and you disagree with your ex-partner about when you will see your children and what will happen to the home you shared (This is called family mediation.) You can learn more about families and the law here
- you are unhappy with the way you have been treated at work or your employer has sacked you unfairly.
There are other situations in which you could use a mediator. But these two are the most common. In many family court matters, you must go to a meeting about mediation before you can go to court. The Government's website can tell you more about whether your case is like this. There are some exceptions - for example, if there has been domestic abuse.
If you want to take your employer to a tribunal over a workplace issue, you will have to talk about it with ACAS, which may offer mediation as an option.
You can find out more about solving problems out of court on the GOV.UK website.
What can a mediator do?
Mediators can:
- listen to both sides of the story
- help you come to an agreement that suits both of you
- meet with both sides (together and on your own)
- make a document for you to agree on and sign, as a record of what you have agreed
- decide that mediation is not right for you and that you should go to court instead.
Mediators should not:
- take sides in a disagreement
- force one side or the other to agree to something
- tell anyone about things you discussed during mediation if you have not agreed to this.
Mediators cannot:
- represent you in court
- manage your court case
- make a legal judgement about who is right or wrong
- draw up a document that each side legally must comply with
- create a legal document that cannot be overturned in court
- decide if either side has stuck to the terms of an agreement
- force either side to stick to an agreement
- punish either side if they don't stick to an agreement
- grant you access to your children
- grant you a divorce.
How are you protected if you use a mediator?
If you pay for a mediator, you should be treated fairly and get a good level of service under the Consumer Rights Act 2015.
Mediators are not regulated. This means that even when you pay to use a mediator, if things go wrong you will not get the same protections you would when using a regulated lawyer. See our legal options page to learn more.
If a mediator is a member of a professional body, it could take action if something goes wrong. A mediator who is not a member of a professional body could state their terms and conditions and be insured, But remember that not all mediators are insured to cover claims if anything goes wrong. And non-members do not need to follow a code of conduct, which means there are no rules about how they must act.
Top tip: Ask your mediator what protections will be available to you. Check to see if they are insured, follow a code of conduct or belong to a professional body. Find this out from their website or ask them directly before agreeing to use their services.
What can I do if I have a complaint about my mediator?
If you aren't happy with the way things are going with your mediator, don't be afraid to speak up. Contact them to say what's gone wrong. Ask them to put things right.
If you are paying your mediator, you have rights under the Consumer Rights Act 2015. If your mediator is a member of a professional body and you feel your mediator has not met the standard of service expected of the body's members, the professional body could look into your complaint. If you're still unhappy, the professional body could pass on your complaint to an external adjudicator.
The Legal Ombudsman can't deal with your complaint, as it can only look at service complaints about regulated legal service providers.
How should I pay for a mediator?
The cost of using a family mediator is usually split between the two sides of the dispute. Employers often cover the costs of workplace mediation. However, the law does not say how the cost of mediation should be covered. So, you need to ask your mediator how they expect to be paid.
Sometimes mediation is free. If a complaint about employment rights is headed to an employment tribunal, mediation is free of charge - and so is small claims mediation. Family mediation can be free if you qualify for legal aid. Many mediators offer a way to pay by installments.
Top tip: Before using a mediator, ask them to tell you what work they will do for you and to explain all of the costs or how the costs will be worked out.
Are mediators regulated?
Mediators are not regulated—their activities are not controlled, and anyone can call themselves a mediator. Some mediators have professional qualifications. Others do not.
Many mediators are members of professional bodies, which set standards for their members. Standards might cover insurance, training and codes of conduct:
- The College of Mediators sets standards for its members, who work in all types of mediation.
- The Family Mediation Council sets standards for mediators who work with divorcing or separating couples.
- The Advisory, Conciliation and Arbitration Service (ACAS) provides employment advice and dispute resolution, including mediation.
- The Centre for Effective Dispute Resolution sets standards for disputes between businesses.
- The Civil Mediation Council (CMC) accredits and regulates its members who work across all civil disputes. Its members are expected to have passed accredited training courses, hold adequate insurance and publish a code of conduct.
Where can I find a mediator?
You could look for mediators who belong to a professional body such as the College of Mediators , the Family Mediation Council , ACAS , or the Centre for Effective Dispute Resolution . The Civil Mediation Council is a charity that promotes mediation and allows you to search for mediators.
Regulated legal advisers like solicitors can recommend mediators—and will do so in family law cases that go to mediation before going to court.
If you qualify for legal aid, use the Government's Find a legal aid adviser website to search for a mediator in your area.
_Between two parts of the article: data records_
-- begin --
The following is a DFT calculation (PBE) of a geometry-optimized Th3Cd8Ag3 structure.

- VASP energy: -2.8316 eV per atom
- Formation enthalpy at 0 K: -107.7 meV/atom

Unit cell a=4.936 b=8.743 c=8.743 alpha=69.88 beta=73.60 gamma=73.60
Element x y z (fractional)
Th1 0.500 0.500 0.500
Th2 0.214 0.786 0.786
Th3 0.786 0.214 0.214
Cd1 0.145 0.215 0.495
Cd2 0.639 0.074 0.649
Cd3 0.639 0.649 0.074
Cd4 0.361 0.926 0.351
Cd5 0.361 0.351 0.926
Cd6 0.855 0.505 0.785
Cd7 0.145 0.495 0.215
Cd8 0.855 0.785 0.505
Ag1 0.500 0.000 0.000
Ag2 0.000 0.848 0.152
Ag3 0.000 0.152 0.848

---

The following is a DFT calculation (PBE) of a geometry-optimized HfNiPd structure.

- VASP energy: -7.4012 eV per atom
- Formation enthalpy at 0 K: -425.4 meV/atom

Unit cell a=4.696 b=5.268 c=5.268 alpha=96.00 beta=63.53 gamma=63.53
Element x y z (fractional)
Hf1 0.000 0.804 0.196
Hf2 0.000 0.196 0.804
Ni1 0.260 0.240 0.240
Ni2 0.740 0.760 0.760
Pd1 0.500 0.339 0.661
Pd2 0.500 0.661 0.339

---

The following is a DFT calculation (PBE) of a geometry-optimized Os2PbCCl structure.

- Energy relative to the elements, uncorrected: 0.841 eV per atom
- VASP energy: -6.6063 eV per atom

Unit cell a=3.972 b=6.258 c=3.972 alpha=90.00 beta=90.00 gamma=90.00
Element x y z (fractional)
Cl1 0.500 0.500 0.500
Pb1 0.000 0.500 0.000
Os1 0.500 0.000 0.000
Os2 0.000 0.000 0.500
C1 0.000 0.000 0.000

---

The following is a DFT calculation (PBE) of a geometry-optimized DyHo2ScS6 structure.

- Energy relative to the elements, uncorrected: -2.008 eV per atom
- VASP energy: -6.4935 eV per atom

Unit cell a=6.788 b=6.788 c=7.232 alpha=62.01 beta=62.01 gamma=59.99
Element x y z (fractional)
S1 0.936 0.598 0.251
S2 0.598 0.216 0.251
S3 0.117 0.417 0.758
S4 0.417 0.708 0.758
S5 0.216 0.936 0.251
S6 0.708 0.117 0.758
Sc1 0.320 0.320 0.040
Ho1 0.016 0.016 0.952
Ho2 0.519 0.519 0.444
Dy1 0.816 0.816 0.552

---

The following is a DFT calculation (PBE) of a geometry-optimized CsTc2TeC structure.

- Energy relative to the elements, uncorrected: 3.905 eV per atom
- VASP energy: -2.8850 eV per atom

Unit cell a=5.055 b=5.055 c=6.890 alpha=90.00 beta=90.00 gamma=90.00
Last column: magnetic moment on the atom in μB.
Element x y z (fractional)
Tc1 0.000 0.500 0.000  2.28
Tc2 0.500 0.000 0.000  2.28
Cs1 0.000 0.000 0.000  0.00
C1 0.500 0.500 0.500  0.84
Te1 0.000 0.000 0.500  -0.40

---

The following is a DFT calculation (PBE) of a geometry-optimized TbPm2Co2 structure.

- Distance to the lowest polymorph of the same formula: 0.0 meV/atom
- VASP energy: -5.7380 eV per atom
- Formation enthalpy at 0 K: -69.3 meV/atom

Unit cell a=3.880 b=6.586 c=9.743 alpha=83.14 beta=78.52 gamma=72.87
Element x y z (fractional)
Pm1 0.664 0.744 0.927
Pm2 0.336 0.256 0.073
Pm3 0.534 0.626 0.306
Pm4 0.466 0.374 0.694
Tb1 0.784 0.071 0.362
Tb2 0.216 0.929 0.638
Co1 0.990 0.125 0.895
Co2 0.010 0.875 0.105
Co3 0.896 0.666 0.542
Co4 0.104 0.334 0.458

---
-- stop --
Other sources of help
The Government's website can tell you more about mediation
If you want to take your employer to a tribunal over a workplace issue, you will have to talk about it with ACAS
You can find out more about solving problems out of court on the GOV.UK website
If you pay for a mediator, you should be treated fairly and get a good level of service under the Consumer Rights Act 2015